Dean Haymore, Storey County building and planning administrator, talks during a Nevada Business Connections breakfast last year in this file photo.
Dean Haymore, Storey County building and planning administrator, believes that Tesla/Panasonic batteries can change both the ways automotive and housing are powered in the years to come.
He said eventually Tesla Motors and Panasonic, along with other firms involved in the gigafactory project at the Tahoe-Reno Industrial Center (TRIC) he oversees, eventually should make batteries so efficient they will propel Tesla cars 400 miles per charge and will even power houses. He indicated at a business group’s breakfast the technology is in experimental stages, but he envisions a new day for electricity in homes.
“You will not have to have power lines come to your house,” he predicted during a talk at the Nevada Business Connections gathering at the Atlantis Casino.
Haymore, going on 29 years in the community development business for Storey County and the man with the vision that became TRIC along Interstate 80, stressed he sees his job as enabling business growth.
“I love creating jobs and wealth for people,” he said. “That’s what this life is all about.”
He also said he thinks outside the box, then amended that and asserted he believed there’s no box. He views government’s role as running itself like a business; if not, he said, it should get out of the business of governing.
“Don’t build a bureaucracy to stop people,” he said, adding permits should come quickly and so should work preparing sites for industry or other firms. “I work when the work needs to be done.”
During post-speech questioning, Haymore was asked about water needs for manufacturers. He acknowledged it’s a significant problem but looked to gray water solutions, meaning recycling after treatment.
He said that’s another change in coming years, predicting subdivision housing is going to include such features despite the upfront costs.
“You’ll see it in 10 years in everybody’s house,” Haymore said. He said currently there’s triple recycling going on in his area to deal with pressure on water supplies.
He also said cost of power is another hurdle, but large manufacturers bring it in from elsewhere in a process called wheeling.
Another question concerned Tesla gigafactory construction stages. He said the work force on it peaked awhile back at 1,800, currently it stood at 250 but would ramp up again with warmer weather next month to about 1,200.
Haymore also credited an entire team with bringing Tesla to the region, mentioning Gov. Brian Sandoval and the Governor’s Office of Economic Development as part of that, and said after the news broke it spawned interest from a host of companies in moving to the area.
Calculated crystals, as found in the file
____________
No. 1
Ac8Sn5Ge | PBE | relaxed

The space group is I-4 (No. 82) and the conventional cell measures 10.124, 10.124 and 10.181 Å, with angles of 90.00, 90.00 and 90.00 degrees. The inequivalent atoms are Ac at (0.066, 0.191, 0.195), Ac at (0.070, 0.320, 0.555), Sn at (0.000, 0.000, 0.500), Sn at (0.123, 0.250, 0.875) and Ge at (0.000, 0.500, 0.250).

The volume is 37.3 Å³/atom. Its density of states at the Fermi level is 2.39 states/eV per cell. The calculation puts the electronic total energy at -4.80 eV/atom. The total moment comes out at 0.00 μB per cell. As for the formation energy: -691.7 meV/atom.

=====

No. 2
Ac6SnGe2 | PBE | relaxed

The space group is Immm (No. 71) and the conventional cell measures 10.614, 10.890 and 11.215 Å, with angles of 90.00, 90.00 and 90.00 degrees. The inequivalent atoms are Ac at (0.000, 0.202, 0.242), Ac at (0.207, 0.500, 0.177), Ac at (0.226, 0.319, 0.500), Sn at (0.000, 0.000, 0.000), Sn at (0.000, 0.000, 0.500), Ge at (0.000, 0.373, 0.000) and Ge at (0.000, 0.500, 0.385).

The volume is 36.0 Å³/atom. Its density of states at the Fermi level is 33.31 states/eV per cell. The calculation puts the electronic total energy at -4.72 eV/atom. The total moment comes out at 0.00 μB per cell. As for the formation energy: -506.6 meV/atom. The calculation puts the energy above the most stable polymorph in this dataset at 0 meV/atom.

=====

No. 3
Ac7Sn2Ge2 | PBE | relaxed

The space group is Cmmm (No. 65) and the conventional cell measures 9.158, 12.067 and 7.628 Å, with angles of 90.00, 90.00 and 90.00 degrees. The inequivalent atoms are Ac at (0.000, 0.000, 0.000), Ac at (0.000, 0.500, 0.246), Ac at (0.250, 0.250, 0.274), Sn at (0.174, 0.000, 0.500) and Ge at (0.000, 0.271, 0.000).

The volume is 38.3 Å³/atom. Its density of states at the Fermi level is 26.66 states/eV per cell. The calculation puts the electronic total energy at -4.54 eV/atom. The total moment comes out at 0.00 μB per cell. As for the formation energy: -359.0 meV/atom.

=====

No. 4
Ac3SnGe | PBE | relaxed

The space group is Pnma (No. 62) and the conventional cell measures 8.748, 4.814 and 17.627 Å, with angles of 90.00, 90.00 and 90.00 degrees. The inequivalent atoms are Ac at (0.004, 0.250, 0.105), Ac at (0.135, 0.750, 0.446), Ac at (0.158, 0.250, 0.714), Sn at (0.132, 0.250, 0.303) and Ge at (0.220, 0.750, 0.044).

The volume is 37.1 Å³/atom. Its density of states at the Fermi level is 18.22 states/eV per cell. The calculation puts the electronic total energy at -4.82 eV/atom. The total moment comes out at 1.77 μB per cell. As for the formation energy: -626.3 meV/atom. The calculation puts the energy above the most stable polymorph in this dataset at 0 meV/atom.

=====

No. 5
Ac12Sn6Ge | PBE | relaxed
____________
The calculated crystals stop here
He said the valley where Tesla is locating “is sold out” already to other industrial clients.
“I’m kind of different,” he said, talking about sharing the wealth of prospects. “I’d rather have them go to other counties” to do some comparison shopping. He explained he wanted prospective firms in the relocation pool to check the region and he wasn’t bashful about having his hands full.
“It’s the toughest job I’ve ever done,” he said, noting Tesla’s large structures and inclusion of the latest technology keep him at work constantly.